Register your business for the VAT One Stop Shop
You may register your business for up to 3 schemes in VAT One Stop Shop: The Union Scheme, the Import Scheme and the Non-Union Scheme. You can only register for one scheme at the time, meaning that if you want to register for more than one scheme, you have to start over again for each registration.
Check which of the 3 special schemes may be relevant for your business.
Please note that you can't transfer your rights to somebody else (accountant or advisor) for them to register your business for the VAT One Stop Shop scheme on your behalf. You can only sign up your own business, which is why you should be logged on as your business.
Register your business as an intermediary
A business working as an intermediary is a business that report and pay VAT on behalf of other businesses.
If your business is registered as an intermediary of the import scheme, you may sign other businesses up for the import scheme.
Access to E-tax for businesses
Before you register your business for the VAT One Stop Shop Scheme, you need to make sure that you can access E-tax for businesses (TastSelv Erhverv).
Read more about getting access and logging on to E-tax for businesses.
Please note that you can't use an E-tax password to log on to VAT One Stop Shop. When you try to log on it says that you can use an E-tax password. This is not the case, unfortunately. But you can use two-factor authentication if you have MitID.
Read more about two-factor authentication.
Information you need to register
Once you have access to E-tax for businesses, it's a good idea to have the following at hand when you want to register your business:
Contact details
Bank details of the business for VAT refunds from outside Denmark (BIC and IBAN)
Establishments in other EU countries
Previously registered for VAT One Stop Shop (former VAT Mini One Stop Shop
This is how you register for VAT One Stop Sho:
- Go to Register for VAT One Stop Shop
- Log on using your MitID or your E-tax password. You cannot register your business for the scheme if you are logged by means of an E-tax password. If your business cannot get MitID, you have to log on VAT One Stop Shop by means of two-factor authentication. Read more about two-factor authentication.
- Select the special scheme, you want to register for. Please note that you can only register your business for one scheme at a time. So, if you want to register your business for more than one scheme, you have to repeat the process.
- Click Start registration
- Complete the requested details
- When we have processed your registration, we will send you an email via Digital Post. The email will tell you when you have to report VAT for the first time. Please note that some applications are processed manually which means that your business isn't registered for the schemes until your application has been approved.
If you represent one or more businesses that are not established in the EU and you provide distance selling of goods to private consumers in the EU, you can sign up as an intermediary via the Import Scheme if your business is established in the EU.
This is how your register your business as an intermediary:
- Go to Registering for VAT One Stop Shop
- Log on using MitID or MitID for businesses (MitID Erhverv). You can't register your business using an E-tax password. If your business canøt get MitID/MitID Erhverv, you need to log on to VAT One Stop Shop using two-factor authentication. Read more about two-factor authentication here.
- Select 'Importordningen som mellemand for andre' (Import Scheme as an intermediary for other businesses)
- Click Start registration
- Complete the required details
- Add data about each of the businesses you represent.
- When we have processed your registration, we will send you an email via Digital Post. The email will tell you when you have to report VAT for the first time. Please note that some applications are processed manually which means that your business isn't registered for the schemes until your application has been approved.
If your registration is accepted, you then have to to this::
- Log on to E-tax using MitID or MitID for businesses (MitID Erhvervpå). You can' log on using an E-tax password. If your business can't get MitID/MitID for businesses, you can log on using two-factor authentication. Read more about two-factor authentication.
- You should now be at 'Kundeoversigt' (Customer overview). If not, you select Moms (VAT), then Moms One Stop Shop (VAT One Stop Shop) and then Kundeoversigt (Customer overview)
- Register the businesses outside the EU that you represent.
You will get an import number (IOSS/IM number)
If your registration is accepted, you will get an import number (IOSS-IM number for each business that you represent. The businesses need to use the import number for import declarations when they import goods to the EU. In your capacity as intermediary you have to forward the IOSS numbers to the businesses your represent.
You have joint and several liability
Remember that your have a joint and several liability for the businesses you represent. This means that you are responsible for reporting and paying VAT on the sale that the business has had to consumers in the EU.
If you have a business that is not established in the EU and you provide distance selling of goods to private consumers in the EU, you ask an intermediary in the EU to register your business for the import scheme on your behalf.
The intermediary must be:
- domiciled in the EU
- registered for VAT One Stop Shop as an intermediary for the Import Scheme
You will get an email with information about access to your self-service system
When the intermediary registers your business as the fact that the intermediary represents your business, the intermediary will state the email of your business.
If the registration is accepted, an email will be sent to the email address stating how you get access to the self-service system of the Danish tax authorities in E-tax for businesses (TastSelv Erhverv). In the system, you can see what your intermediary reports on your behalf.
You will get an import number (IOSS/IM number)
Your business will get an IOS/MI number which your intermediary can tell you. You need to state the number for customs clearance of goods subject to the import scheme.
You are jointly and severally liable
Remember that you are jointly and severally liable for the amounts that your intermediary has reported on your behalf on your sales in Denmark.
If your business is domiciled in Norway, you can register your business for the Import Scheme without an intermediary (Norwegian businesses) in Denmark.
Register your Norwegian business with the Danish Busienss Authority
You need to register your Norwegian business with the Danish Business Authority (Erhvervsstyrelsen) using form 40.110: Registrering af udenlandsk virksomhed ( In the form, you tick off box 9 "Moms One Stop Shop i Danmark" (VAT One Stop Shop in Denmark).
We send you your login by post
When your Norwegian business has been granted an SE (VAT) noúmber, we will send you a letter with an E-tax password for logging in using two-factor authentication. You need this to log on to VAT One Stop Shop in E-tax for businesses (TastSelv Erhverv).
Read more about how you log on to VAT One Stop Shop using two-factor authentication
The EU and non-EU schemes:
Your registration takes effect on the first day of the calendar quarter after your registration was submitted in the system.
New business or new activity: The registration may apply from the first sale
If your business is newly registered or if your business starts a new activity that complies with the scheme, your registration may apply from the first sale. However, registration must have taken place no later than on day 10 of the month after the first sale took place.
The import scheme:
If you have registered for the Import Scheme, your registration takes effect from the day when you receive the special import VAT registration number (IMxxxxxxxxxx).
If your business master data or registration details change, you are obliged to make the relevant updates.
You go to E-tax for businesses to make changes to the registration details you used to register your business in VAT One Stop Shop. This could be changes to your business contact person, phone number, email address or website.
See and change your registration details in VAT One Stop Shop
(These calculated crystals were left in the entry by mistake)
-- begin --
# 1
Density functional theory data (GGA-PBE) for a relaxed LaGe3Pt5 crystal.

Summary:
Total DFT energy (no corrections)   -6.130 eV/atom
Symmetry   No. 63

a b c (Å): 3.934 6.794 13.258
angles (deg): 90.00 90.00 106.83
Fractional positions:
Ge 0.377 0.754 0.532
Ge 0.377 0.754 0.968
Pt 0.798 0.597 0.415
La 0.846 0.692 0.750
Pt 0.202 0.403 0.915
Pt 0.468 0.936 0.351
Pt 0.468 0.936 0.149
Pt 0.202 0.403 0.585
Ge 0.110 0.220 0.750
Pt 0.798 0.597 0.085
La 0.154 0.308 0.250
Pt 0.000 0.000 0.500
Ge 0.890 0.780 0.250
Pt 0.532 0.064 0.649
Pt 0.000 0.000 0.000
Ge 0.623 0.246 0.032
Ge 0.623 0.246 0.468
Pt 0.532 0.064 0.851

=====

# 2
Density functional theory data (GGA-PBE) for a relaxed LaGePt4 crystal.

Summary:
ΔE to the lowest computed polymorph   102.7 meV per atom
Total DFT energy (no corrections)   -6.283 eV/atom
Symmetry   No. 216

a b c (Å): 5.443 5.443 5.443
angles (deg): 60.00 60.00 60.00
Fractional positions:
La 0.250 0.250 0.250
Pt 0.626 0.626 0.123
Ge 0.000 0.000 0.000
Pt 0.626 0.626 0.626
Pt 0.123 0.626 0.626
Pt 0.626 0.123 0.626

=====

# 3
Density functional theory data (GGA-PBE) for a relaxed La5Ge5Pt2 crystal.

Summary:
Total DFT energy (no corrections)   -5.904 eV/atom
Symmetry   No. 12

a b c (Å): 4.440 8.209 8.989
angles (deg): 88.08 75.70 74.31
Fractional positions:
Ge 0.055 0.698 0.192
Pt 0.614 0.530 0.243
La 0.624 0.073 0.679
Ge 0.277 0.780 0.665
Ge 0.000 0.000 0.000
La 0.376 0.927 0.321
La 0.693 0.693 0.920
La 0.307 0.307 0.080
La 0.000 0.500 0.500
Ge 0.945 0.302 0.808
Pt 0.386 0.470 0.757
Ge 0.723 0.220 0.335

=====

# 4
Density functional theory data (GGA-PBE) for a relaxed LaGePt3 crystal.

Summary:
ΔE to the lowest computed polymorph   397.1 meV per atom
Total DFT energy (no corrections)   -6.081 eV/atom
Symmetry   No. 221

a b c (Å): 4.771 4.771 4.771
angles (deg): 90.00 90.00 90.00
Fractional positions:
La 0.500 0.500 0.500
Pt 0.500 0.000 0.000
Ge 0.000 0.000 0.000
Pt 0.000 0.000 0.500
Pt 0.000 0.500 0.000

=====

# 5
Density functional theory data (GGA-PBE) for a relaxed LaGe2Pt crystal.

Summary:
Total DFT energy (no corrections)   -5.993 eV/atom
Symmetry   No. 71

a b c (Å): 4.521 8.943 9.752
angles (deg): 117.29 103.40 90.00
Fractional positions:
Ge 0.074 0.574 0.149
Pt 0.851 0.098 0.702
Ge 0.697 0.348 0.394
La 0.705 0.705 0.409
Pt 0.149 0.397 0.298
Ge 0.697 0.046 0.394
Ge 0.926 0.426 0.851
Pt 0.851 0.603 0.702
La 0.500 0.257 0.000
Ge 0.075 0.075 0.150
La 0.295 0.295 0.591
Ge 0.303 0.652 0.606
La 0.500 0.743 0.000
Ge 0.925 0.925 0.850
Ge 0.303 0.954 0.606
Pt 0.149 0.902 0.298

=====

# 6
Density functional theory data (GGA-PBE) for a relaxed LaGePt3 crystal.

Summary:
ΔE to the lowest computed polymorph   275.1 meV per atom
Total DFT energy (no corrections)   -6.203 eV/atom
Symmetry   No. 55

a b c (Å): 5.263 5.675 7.109
angles (deg): 90.00 90.00 90.00
Fractional positions:
La 0.500 0.500 0.500
Pt 0.000 0.124 0.174
La 0.500 0.000 0.000
Ge 0.000 0.000 0.500
Pt 0.000 0.876 0.826
Pt 0.500 0.000 0.500
Ge 0.000 0.500 0.000
-- stop --
(The calculated crystals stop here)
How to see and correct relevant registration details in VAT One Stop Shop
- Log on to E-tax for businesses using MitID or MitID for businesses
- Select VAT
- Select VAT One Stop Shop
- Select Registration details
- Select Special scheme
- You can now see and make relevant changes to your registration details.
If the master data of your business (such as name, address or industry) changes you have to make the relevant changes with the Danish Business Authority (Erhvervsstyrelsen).
Change master data with the Danish Business Authority
You can see when to report and pay under:
Read more: How to report VAT via VAT One Stop Shop
Read more: How to pay VAT via VAT One Stop Shop
Below you find possible reasons why your business wasn't accepted for the VAT One Stop Shop Scheme. We will always send you our proposal for a decision allowing you to comment on our proposal before we potentially reject your business.
You can register your business for all 3 special schemes but you can only register once for each scheme. As a result, your business will be rejected if you try to register twice for the same scheme.
That's the case if, for example,:
- Your business is already registered for the scheme you want to sign up for.
- Another business with the same place of business is already registered for the special scheme in question.
- The business outside the EU is already represented by one or more intermediaries in the EU.
If your business was previously registered for VAT One Stop Shop/VAT Mini One Stop Shop and have been suspended, you can't use the scheme until the suspension expires.
If your business is suspended, you should contact the country that issued your VAT registration no.
If, in general, your business doesn't meet the requirements for being registered for VAT or for being an intermediary, your application for VAT One Stop Shop registration will be rejected.
If your business has several employees on your business MitID and they need to acceses VAT One Stop Shop in E-tax for businesses, your business MitID administrator must actively assign rights to the individual employees.
Read more about how you assign rights in E-tax for businesses.
Businesses that are registered in Denmark may register for VAT One Stop Shop jointly. For VAT purposes they will be considered one business. The advantages of this is that:
- only one of the businesses reports and pays VAT on behalf of all the businesses that are registered jointly. As a result, only this business needs to be registered for VAT One Stop Shop.
- VAT is not charged on sales and purchases between the jointly-registered businesses.
Note that such businesses are jointly and severally liable for payment of VAT.
Joint registration requirements
Businesses that only have activities subject to VAT may apply for joint registration. If your business has activities that are exempt from VAT, the Tax Agency may in certain cases allow them to register jointly.
Read more about joint registration and apply with the Danish Business Authority (Erhvervsstyrelsen):
Apply for joint registration (
Joint registration in Denmark and fixed establishments in other EU countries
A Danish joint registration will mean that possible fixed establishments in other EU countries (such as branches and places of shipping) will no longer be considered joint registrations for VAT purposes. As a result, the establishments will be considered parts of a company.
This means that the sale of goods and services between a jointly-registered business and a fixed establishment in another EU country will be treated as a sale between 2 independent businesses.
For further legal information in Danish see our legal guide .